There should probably be new discussion forums for IGSlideTabView and IGFlowLayoutView.
I just posted another thread about IGSlideTabView crasher and the forum software moderated me. Just an FYI... I'm not spam. Promise.
Btw, since I can't access that other post, the SE_ prefix methods are from the "Constraint Pack" dir you can find in another one of my auto layout enabled projects. I admit that this is a small issue, since we are swapping only two lines of code. I just expect it to work because I instinctually gut autoresizingMask in my projects. e.g. code smell.
My first impressions of the IGSlideTabItem is that there should be an easier way to align the tab within the frame. The location has 4 choices, but an alignment of leading/center/trailing would be nice as to avoid the math and magic numbers in offset/position.
Nice work, iOS team.
Edit: Seeing a possible typo in delegate: -(void)slideTabView:(IGSlideTabView *)slideTabView tabHid:(IGSlideTabItem *)tabHid. Should probably be tabHide.
Edit 2: Here's an updated delegate to center the tab and content without magic numbers.
- (void)slideTabView:(IGSlideTabView *)slideTabView tabContentSizeChanged:(IGSlideTabItem *)tab
if (tab.tabLocation == IGSlideTabLocationTop || tab.tabLocation == IGSlideTabLocationBottom)
tab.tabOffset = CGPointMake(tab.actualContentSize.width / 2 - (tab.tabSize.width / 2), 0);
tab.tabPosition = (slideTabView.bounds.size.width / 2) - tab.tabOffset.x;
tab.tabPosition -= tab.tabSize.width / 2;
tab.tabOffset = CGPointMake(0, tab.actualContentSize.height / 2 - (tab.tabSize.height / 2));
tab.tabPosition = (slideTabView.bounds.size.height / 2) - tab.tabOffset.y;
tab.tabPosition -= tab.tabSize.height / 2;
Hi Caylan,
I do not see your slide tab post as of yet, in the meantime I'll try to answer some of the questions you've had in this last post.
The slide tab control allows for full control over position and offset, which can up its complexity and therefore requires the possibility of using math for tab placement. To better support all possible design use cases, we didn't include leading/centered/trailing alignments to provide the ability to fine tune the tab position against the content.
_Someone pasted records of molecules at this point_
=====
Here is a structure of composition C5H7NO from the OMol25 dataset. Energies are from the ωB97M-V functional and the def2-TZVPD basis.

As for the spin multiplicity: 1. As for the largest force on an atom: 0.45 eV/A. As for the HOMO energy: -9.107 eV. The LUMO energy comes out at 0.02679 Ha. The value obtained for the energy above the lowest of the compared OMol25 structures with the same formula, charge and spin is 61.31 kcal/mol.

Geometry as XYZ:
```
14
Properties=species:S:1:pos:R:3:forces:R:3:lowdin_charge:R:1
C 1.663356 0.457371 -0.107281 0.066 0.051 -0.009 -0.046
N -1.773823 -0.127195 -0.558667 -0.068 0.020 -0.178 0.056
H 1.360884 1.509389 -0.071501 0.030 -0.149 -0.007 0.089
H 0.790386 -1.509703 0.039719 -0.057 0.112 -0.003 0.163
H -0.146336 -0.307932 2.245898 -0.079 0.025 -0.165 0.118
C -0.459816 -0.243207 1.206918 -0.001 -0.130 0.081 -0.114
O -0.279719 -0.340811 -2.323915 -0.107 0.003 0.432 0.083
H 2.386168 0.279543 0.694924 -0.113 0.023 -0.112 0.081
C -0.528310 -0.317485 -1.140033 0.029 -0.011 -0.169 -0.439
H 2.152074 0.276889 -1.068955 -0.067 0.031 0.145 0.084
C 0.453295 -0.463411 0.028765 -0.024 -0.005 -0.044 -0.264
H -2.593192 0.023625 -1.128122 0.107 -0.025 0.091 0.141
H -1.222500 0.882117 1.346621 0.021 0.159 0.052 0.167
C -1.802469 -0.119192 0.835628 0.262 -0.105 -0.117 -0.119
```
Forces are in eV/Å.

Here is a structure of composition C25H23Cl4N3O8S2Sc at a distorted geometry from the OMol25 dataset. Energies are from the ωB97M-V functional and the def2-TZVPD basis.

As for the spin multiplicity: 1. As for the largest force on an atom: 1.67 eV/A. As for the HOMO energy: -4.790 eV. The LUMO energy comes out at 0.07982 Ha. As for the charge: -1.

Geometry as XYZ:
```
66
Properties=species:S:1:pos:R:3:forces:R:3:lowdin_charge:R:1
Cl -3.229511 -2.872828 3.662467 0.016 -0.062 -0.050 0.702
H 3.722392 0.354236 -6.115910 0.000 0.017 0.007 0.096
C -0.901173 -2.124304 -2.093562 0.211 -0.004 0.219 -0.072
C 2.943396 -0.084090 3.300055 -0.088 -0.108 0.127 -0.263
C -1.828036 2.292819 -2.720499 -0.017 0.199 -0.093 -0.217
H 4.134843 0.565838 -1.854587 -0.016 -0.040 0.021 0.095
C 4.082986 0.460820 -4.001430 0.018 -0.003 -0.021 -0.083
O -2.042568 -1.415617 -1.589432 0.006 -0.029 0.084 -0.176
H -0.466677 -1.508029 -2.879073 -0.014 0.017 -0.017 0.116
Cl -4.756030 1.934710 5.629180 -0.049 0.084 0.077 0.635
N 3.075456 0.096455 1.864484 0.032 0.193 -0.356 -0.128
C 2.132426 0.573183 -2.588494 -0.064 0.012 -0.171 -0.106
H 3.286370 -2.229275 3.316699 -0.022 -0.008 -0.012 0.069
O -2.239474 1.411856 1.235848 -0.575 0.395 0.463 -0.237
H -2.401524 -3.037685 -0.322711 0.041 0.034 -0.016 0.151
H 4.702648 1.639259 0.268699 0.011 0.038 -0.014 0.059
C 2.046760 0.495270 1.081639 -0.223 -0.430 0.282 -0.673
Cl -4.564839 -1.168453 5.943384 -0.045 -0.053 0.063 0.629
C 1.333776 0.535560 -3.727664 -0.046 -0.032 0.035 -0.035
H 4.900446 -0.872881 1.991340 -0.074 -0.058 0.015 0.111
N -2.322255 1.868793 -1.514157 0.246 -0.412 0.124 -0.035
=====
Your 1st Edit
slideTabView:tabHid: is called after the tab has hid its content. Past tense version of hide, because it has already occurred.
Your 2nd Edit
The sample browser uses this same code, except it uses a hard code value that is half of the tab height or width depending on which side of the screen it resides. We can update this in a future release to improve readability.
Ah, "hid" ... good lord. Can you tell I've been doing art mockups for a week instead of coding?
I believe iOS standard naming would probably dictate "didHide."
My earlier post said something like, "Awaiting moderation." I don't know where it went...